1.
Material: Tb3MgN
Method: DFT, PBE
State: optimized geometry

Cell: 4.8990 4.8990 4.8990 Å, 90.00 90.00 90.00°
Space group Pm-3m (No. 221)
One atom of each set of equivalent atoms:
Tb 0.0000 0.0000 0.5000
Mg 0.5000 0.5000 0.5000
N 0.0000 0.0000 0.0000

Computed properties:
* crystal system: cubic
* mass density: 7.275 g/cm³
* D(E_F): 1.112 states/eV per atom
* E: -5.457 eV per atom
* total moment: 0.000 μB/atom

=====

2.
Material: Na2LaGe
Method: DFT, PBE
State: optimized geometry

Cell: 4.4401 4.4401 24.5116 Å, 90.00 90.00 90.00°
Space group I-42d (No. 122)
One atom of each set of equivalent atoms:
Na 0.2137 0.2500 0.1250
La 0.0000 0.0000 0.5000
Ge 0.0000 0.0000 0.0000

Computed properties:
* crystal system: tetragonal
* mass density: 3.540 g/cm³
* D(E_F): 0.492 states/eV per atom
* E: -3.146 eV per atom
* ΔE_f: -0.1004 eV per atom
* total moment: 0.000 μB/atom

=====

3.
Material: La5DyHo
Method: DFT, PBE
State: optimized geometry

Cell: 6.2666 17.7290 9.2182 Å, 90.00 101.36 90.00°
Space group C2/c (No. 15)
One atom of each set of equivalent atoms:
La 0.0000 0.1380 0.2500
La 0.1105 0.3482 0.9648
La 0.2048 0.1847 0.6484
Dy 0.0000 0.4901 0.2500
Ho 0.0000 0.0000 0.0000

Computed properties:
* crystal system: monoclinic
* mass density: 6.760 g/cm³
* D(E_F): 1.580 states/eV per atom
* E: -4.664 eV per atom
* ΔE_f: 0.1671 eV per atom
* total moment: 0.000 μB/atom

=====

4.
Material: K2LaMo
Method: DFT, PBE
State: optimized geometry

Cell: 5.8743 13.7503 3.5940 Å, 90.00 119.58 90.00°
Space group C2/m (No. 12)
One atom of each set of equivalent atoms:
K 0.2500 0.2500 0.0000
La 0.0000 0.0000 0.5000
Mo 0.0000 0.5000 0.5000

Computed properties:
* polymorph energy (0 for the lowest one): 1.57 eV/f.u.
* crystal system: monoclinic
* mass density: 4.118 g/cm³
* D(E_F): 0.967 states/eV per atom
* E: -3.380 eV per atom
* ΔE_f: 1.1084 eV per atom
* total moment: 0.011 μB/atom

=====

5.
Material: Na2CuAgBr5
Method: DFT, PBE
State: optimized geometry

Cell: 4.0251 19.7460 12.8166 Å, 90.00 90.00 90.00°
Space group Cmc2_1 (No. 36)
One atom of each set of equivalent atoms:
Na 0.0000 0.0863 0.0000
Na 0.0000 0.1156 0.6854
Cu 0.0000 0.4283 0.7822
Ag 0.0000 0.2176 0.4092
Br 0.0000 0.0436 0.3789
Br 0.0000 0.2882 0.0540
Br 0.0000 0.3072 0.7639
Br 0.0000 0.3608 0.3582
Br 0.0000 0.4962 0.6237

Computed properties:
* crystal system: orthorhombic
* mass density: 4.023 g/cm³
* D(E_F): 0.871 states/eV per atom
* E: -2.810 eV per atom
* total moment: 0.063 μB/atom

=====

6.
Material: Te4PW
Method: DFT, PBE
State: optimized geometry

Cell: 8.7027 8.7027 8.7027 Å, 90.00 90.00 90.00°
Space group F-43m (No. 216)
One atom of each set of equivalent atoms:
Te 0.1244 0.1244 0.1244
P 0.0000 0.0000 0.5000
W 0.2500 0.2500 0.7500

Computed properties:
* crystal system: cubic
* mass density: 7.308 g/cm³
* D(E_F): 1.277 states/eV per atom
* E: -3.578 eV per atom
* total moment: 0.326 μB/atom

=====

7.
Material: ScAl2As
Method: DFT, PBE
State: optimized geometry

Cell: 5.4572 10.3278 3.8147 Å, 90.00 133.20 90.00°
Space group C2/m (No. 12)
One atom of each set of equivalent atoms:
Sc 0.0000 0.0000 0.0000
Al 0.2500 0.2500 0.0000
As 0.0000 0.5000 0.0000

Computed properties:
* crystal system: monoclinic
* mass density: 3.684 g/cm³
* D(E_F): 0.331 states/eV per atom
* E: -5.012 eV per atom
* ΔE_f: -0.3950 eV per atom
* total moment: 0.000 μB/atom

=====

8.
Material: LiCa2Y
Method: DFT, PBE
State: optimized geometry

Cell: 13.3193 3.8087 5.9722 Å, 90.00 116.61 90.00°
Space group Cm (No. 8)
One atom of each set of equivalent atoms:
Li 0.0000 0.0000 0.0000
Ca 0.0007 0.5000 0.5015
Ca 0.2243 0.5000 0.2263
Y 0.2793 0.0000 0.7813

Computed properties:
* polymorph energy (0 for the lowest one): 0.13 eV/f.u.
* crystal system: monoclinic
* mass density: 2.158 g/cm³
* D(E_F): 1.353 states/eV per atom
* E: -2.968 eV per atom
* ΔE_f: 0.1273 eV per atom
* total moment: 0.000 μB/atom

=====

9.
Material: K2Be2Al
Method: DFT, PBE
State: optimized geometry

Next, copy only the lines further up with the word "La5DyHo" in them.

Material: La5DyHo